Every family has a kettle. Without it no longer start breakfast, or finish dinner or meet guests or to sit with a book Alone, it is so nice to feel the aroma of fresh tea and drink a cup of this wonderful tonic drink!
But, unfortunately, any member of this family of appliances, regardless of price, functionality and whether it is electric or heated on the stove, covered with scum. flakes scale fall into the cup and spoil not only the appearance but also the taste of the tea or any drink that is poured boiling water from such a device. Moreover, in the traditional kettle scale layer delays the process of boiling water, and in the electric heating element can quickly be rendered useless by a layer of sediment.
Physical cleaning methods can not be used in any case. In this case, clean kettle layer from scum by using a very old and widespread among experienced housewives process - cleaning of the kettle descaling citric acid.
Lemon acid - long known means removing contaminants from surfaces of kitchen and bathroom. It is able to clean rust, lime, remnants of burnt food ingrained grease stains. Citric acid is very effective against scale. As it can be purchased at any grocery store, making it very affordable citric acid cleaning agent, and thus clear the kettle from scale citric acid may be any hostess.
- Purification conventional kettle
- Electrical appliance
- Tips to prevent the formation of scale
Purification conventional kettle
Between two parts of the article: data records:
- - -
Density functional theory data (ωB97M-V with the def2-TZVPD basis set) for a structure of composition C7H12Al2Br3Cl4F4ILiNO4PS in a non-equilibrium geometry.

```
41
C7H12Al2Br3Cl4F4ILiNO4PS (ωB97M-V with the def2-TZVPD basis set)
C 3.252 -1.180 -0.678
C 2.715 0.235 -0.723
Cl 3.445 1.095 0.672
C 1.171 0.330 -0.645
Cl 0.540 0.412 1.057
N 0.542 -0.712 -1.489
I 0.150 -2.509 -0.529
C -0.695 -0.192 -2.052
O -0.810 -0.067 -3.203
O -1.781 0.266 -1.189
P -3.098 -0.682 -1.056
O -2.982 -1.262 0.509
O -4.368 0.218 -0.963
S -3.272 -2.072 -2.338
H 2.977 -1.657 0.261
H 4.334 -1.164 -0.697
H 2.877 -1.802 -1.487
H 3.098 0.746 -1.597
H 0.887 1.290 -1.066
H -3.881 -1.545 0.825
H -4.497 0.587 -0.068
Cl 7.142 4.782 1.112
C 5.752 5.025 2.173
C 5.830 4.139 3.385
Cl 5.613 2.430 2.940
H 4.849 4.852 1.590
H 5.764 6.077 2.479
H 5.040 4.389 4.096
H 6.786 4.233 3.896
Li -1.587 1.790 0.895
C -4.567 -4.407 -5.330
Br -2.772 -4.064 -5.873
Br -5.478 -5.442 -6.632
Br -4.614 -5.299 -3.640
H -5.075 -3.458 -5.227
F -3.256 0.579 3.273
Al -4.385 -0.568 3.872
F -5.305 0.073 5.076
F -3.489 -1.911 4.372
F -5.289 -1.047 2.512
Al -1.563 -2.505 1.489
```

Calculated values
HOMO energy   -16.632 eV
Orbital gap   1.13 eV
Charge   +3
LUMO   -15.502 eV

* * * * *

No. 1
15
Properties=species:S:1:pos:R:3:mulliken_charge:R:1 method="wB97M-V/def2-TZVPD" e_homo_ha=-0.39282 total_energy_ha=-382.1831 de_lowest_kcal_mol=25.8 smiles=O.O.O.O.O homo_lumo_gap_ev=10.618
O -1.794 0.699 0.391 -0.614
H -2.490 0.686 1.044 0.295
H -2.254 0.802 -0.430 0.260
O 0.708 -2.839 0.226 -0.657
H 1.269 -2.851 1.001 0.321
H 0.779 -1.897 -0.001 0.392
O -0.413 1.705 -2.573 -0.569
H -0.391 1.800 -3.526 0.309
H -1.208 1.240 -2.384 0.265
O 1.721 -0.080 2.457 -0.655
H 0.836 -0.260 2.855 0.294
H 1.532 -0.023 1.512 0.419
O 0.744 0.057 -0.118 -0.797
H -0.165 0.211 0.107 0.456
H 1.126 0.749 -0.561 0.282

***

No. 2
28
Properties=species:S:1:pos:R:3:mulliken_charge:R:1 method="wB97M-V/def2-TZVPD" e_homo_ha=-0.27888 total_energy_ha=-612.3236 de_lowest_kcal_mol=17.0 smiles="Cc1c[nH]c2ccccc12.CC(N)=O" homo_lumo_gap_ev=8.340
C 1.652 3.607 2.748 -1.194
C 1.641 2.483 1.709 0.264
C 2.607 2.267 0.775 -0.539
N 2.126 1.492 -0.275 -0.062
C 0.813 1.164 0.027 -0.029
C -0.072 0.418 -0.748 -0.913
C -1.302 0.153 -0.162 0.156
C -1.670 0.648 1.094 -1.163
C -0.786 1.468 1.772 -0.057
C 0.500 1.737 1.292 0.780
H 1.847 4.502 2.162 0.283
H 2.409 3.414 3.500 0.310
H 0.647 3.698 3.148 0.327
H 3.604 2.665 0.672 0.405
H 2.712 1.052 -0.955 0.198
H 0.162 0.070 -1.743 0.361
H -1.956 -0.528 -0.692 0.142
H -2.574 0.254 1.533 0.388
H -1.056 1.804 2.770 0.314
C -1.324 -2.537 -2.975 -1.122
C -1.354 -3.434 -1.747 0.713
N -0.755 -4.652 -1.981 -0.421
O -1.802 -3.144 -0.667 -0.560
H -1.720 -1.541 -2.763 0.228
H -1.893 -2.857 -3.848 0.416
H -0.318 -2.322 -3.348 0.331
H -0.475 -5.218 -1.189 0.243
H -0.240 -4.748 -2.819 0.199

***

No. 3
14
- - -
If a traditional instrument appeared a layer of scale, it is necessary to proceed as follows. The device Pour water so that the entire scale was lower than its level. Then pour it into a single packet of citric acid, ie, Twenty-five gramsAnd put to boil. During the boiling process citric acid corrodes salts forming scale, and that easily moves away from the wall of the kettle. When plaque descend, remove the device from the heat and the water is drained. It remains only a good wash it from the remnants of acid and plaque. For the prevention of such cleaning should be carried out at least once a month.
- If the instrument is a thick layer of sediment, then for their effective removal of acid concentration must be increased. To do this will need fifty grams of citric acid, ie, two packets per liter of water. Filling unit to the desired level, pour the acid in it and set on fire. At this stage, only water well is heated kettle remove from heat and thoroughly agitated acid solution. Return the appliance on fire, and now means there should be boiled for ten minutes. Again we remove it from the heat and leave to rest until cool. process may be repeated as necessary to achieve complete cleaning of contaminated tool.
- This method is suitable if the kettle in a very neglected state, that is covered with scum. The instrument pour water, put there tablespoon baking soda, then the solution should be boiled. After boiling pour soda solution and fill with pure water. Now add a tablespoon of citric acid and boil for about thirty minutes on low heat, and then merge it. Re-fill it fresh. Already this step will remove part of the long-standing scale. This time, add half a cup of vinegar and boil for half an hour also. After boiling, the water is drained. The device is well washed from the residues of the cleaning solution and remove fat residues.
Electrical appliance
To clean the kettle with citric acid if it is electric, using a similar method. To clean the heating element and the electrical device housing need to take one sachet of citric acid per liter of water. Then, the acidic solution pour into the pot and boil. After this procedure, the housing is completely free from plaque. Discard the solution and fill the kettle with fresh water, boil again. Then you need to clean the device from the solution and scale residues.
Tips to prevent the formation of scale
Completely protect the unit from the formation so unpleasant deposits can not be, because no filters able to purify the water before boiling absolutely all possible salts that form plaque on the walls instrument. But performance of several simple rules eliminates the lengthy purification procedures, both traditional and electric kettles.
To scale did not accumulate on the walls and bottom of the enclosure, you need every day to wash it with a sponge, thereby removing plaque formed per day.
- Before boil the water, it is better to pass it through a filter which delay significant portion of salts forming scale on boiling.
- Boiled water from the kettle to drain better, so that it does not remain in the unit for a long time.
Misplaced quantum chemistry results =
(1)
{
  "formula": "C49H62ClF2IN3O3",
  "method": "ωB97M-V with the def2-TZVPD basis set",
  "e_tot_ha": -3251.6926,
  "de_lowest_kcal_mol": 0.00,
  "charge": 1,
  "orbital_gap_ev": 8.2,
  "mol_weight_da": 941.41,
  "species": ["C", "C", "N", "C", "C", "N", "C", "C", "O", "C", "N", "C", "C", "C", "C", "F", "C", "C", "C", "O", "Cl", "C", "F", "C", "C", "C", "C", "O", "I", "H", "H", "H", "H", "H", "H", "H", "H", "H", "H", "H", "H", "H", "H", "H", "H", "H", "H", "H", "H", "H", "H", "H", "H", "H", "H", "H", "H", "H", "H", "H", "H", "C", "C", "C", "C", "C", "C", "H", "H", "H", "H", "H", "H", "C", "C", "C", "C", "C", "C", "H", "H", "H", "H", "H", "H", "C", "C", "C", "C", "C", "C", "H", "H", "H", "H", "H", "H", "C", "C", "C", "C", "C", "C", "H", "H", "H", "H", "H", "H", "C", "C", "C", "C", "C", "C", "H", "H", "H", "H", "H", "H"],
It should be remembered that any surface easier to clean from scale where more thin layer deposition. Because often better to clean the kettle with citric acid, avoiding large deposits.